Surprise, surprise, surprise. The largest retail companies in the United States are concerned that their falling profits are caused by consumers not having enough money to spend.

Two thirds of the largest retail companies in the country say falling incomes for their customers threaten their business, according to an analysis of corporate filings by economists at the Center for American Progress (CAP)…. And seven out of every eight major American retail companies “cite weak consumer spending as a risk factor to their stock price,” the authors write. […]

… Burger King’s 10-K mentions “decreased salaries and wage rates…decreasing consumer spending for restaurant dining occasions” as a risk factor. J.C. Penney’s says that “the moderate income consumer, which is our core customer, has been under economic pressure for the past several years.”

[A]nalysts from Morgan Stanley, Bank of America, Citigroup, Wells Fargo, and a half-dozen other major business analysis firms … [point] to weak consumer spending and the economic weakness afflicting the middle class as factors hindering the recovery.

Well, after thirty plus years of trickle down economics, is anyone really shocked by this result? I mean other than ideologues who reject real world data because it doesn’t conform to their predictions.

If trickle-down economics worked, then lower tax rates during the Reagan Revolution should have increased the lowest income levels. In fact, the exact opposite has occurred. Income inequality has worsened.

Since the collapse of the housing bubble, we bailed out Wall Street and the financial industry saw record profits. Next to nothing has been done to bolster the incomes of the middle class, however, as more and more people have sunk into poverty. We’ve seen good paying mid level jobs replaced with more low paying ones.

Yet, few politicians in either party are actively promoting policies, such as raising the minimum wage, increasing infrastructure spending, and raising taxes on the wealthiest ‘persons,’ both real and fictional – i.e., large multinational corporations – who have benefited enormously from tax cuts that theoretically were supposed to create more and better jobs for everyone, but which instead mostly increased the income and profits of the largest corporations and the richest individuals.

The richest 85 people in the world have as much wealth as the poorest 3.5 billion – or half the world’s entire population – put together. […]

[S]o much wealth has been concentrated at the top … it has become more economically efficient to buy countries’ economic policy than to create value in order to sell it on. If one can control government to favour the richest, while raising barriers for new entrants, thus increasing their share of the pie exponentially, what is the incentive to grow the pie? […]

(Data records, as found in the file)
- - -
No. 1
# Cd5In8Bi
Calculated powder X-ray diffraction pattern, Cu Ka. Input: a cell relaxed with PBE.
Lines closer than 0.1° are merged.

Atomic structure:
a = 9.4252 Å, b = 9.4252 Å, c = 8.6399 Å
α = 90.00°, β = 90.00°, γ = 90.00°
Space group I-4 (No. 82)
Unique sites:
Cd 0.0000 0.0000 0.0000
Cd 0.1268 0.1600 0.4045
In 0.0548 0.3354 0.0935
In 0.1295 0.1855 0.7548
Bi 0.0000 0.5000 0.7500

Top 10 peaks for 5° ≤ 2θ ≤ 70°, low angle first:
d/Å, two_theta, I_rel, index
3.788, 23.48, 31, 2 1 1
2.980, 29.98, 67, 3 1 0
2.953, 30.27, 100, 3 0 1
2.754, 32.51, 60, 1 0 3
2.639, 33.98, 55, 2 2 2
2.502, 35.89, 53, 3 2 1
2.453, 36.63, 75, 3 1 2
2.378, 37.83, 100, 2 1 3
2.210, 40.83, 31, 1 4 1
1.496, 62.05, 45, 5 2 3


No. 2
# Sm2Dy4Er
Calculated powder X-ray diffraction pattern, Cu Ka. Input: a cell relaxed with PBE.
Lines closer than 0.1° are merged.

Atomic structure:
a = 3.7502 Å, b = 13.6070 Å, c = 18.3857 Å
α = 90.00°, β = 90.00°, γ = 90.00°
Space group Cmce (No. 64)
Unique sites:
Sm 0.0000 0.1308 0.1527
Dy 0.0000 0.0833 0.6779
Dy 0.0000 0.1885 0.9465
Er 0.0000 0.0000 0.5000

Top 10 peaks for 5° ≤ 2θ ≤ 70°, low angle first:
d/Å, two_theta, I_rel, index
3.190, 27.97, 27, 0 4 2
3.064, 29.14, 30, 0 0 6
2.855, 31.33, 98, 1 3 1
2.842, 31.48, 100, 1 1 4
2.757, 32.47, 69, 1 3 2
2.578, 34.80, 31, 1 1 5
2.497, 35.97, 30, 0 4 5
2.448, 36.71, 27, 0 2 7
1.875, 48.55, 27, 2 0 0
1.661, 55.30, 34, 1 7 3


No. 3
# Re2P2O
Calculated powder X-ray diffraction pattern, Cu Ka. Input: a cell relaxed with PBE.
Lines closer than 0.1° are merged.

Atomic structure:
a = 3.4803 Å, b = 3.4803 Å, c = 11.6696 Å
α = 90.00°, β = 90.00°, γ = 90.00°
Space group I4/mmm (No. 139)
Unique sites:
Re 0.0000 0.0000 0.1175
P 0.0000 0.5000 0.2500
O 0.0000 0.0000 0.5000

Top 10 peaks for 5° ≤ 2θ ≤ 70°, low angle first:
d/Å, two_theta, I_rel, index
3.335, 26.73, 100, 1 0 1
2.917, 30.64, 22, 0 0 4
2.594, 34.58, 45, 1 0 3
2.461, 36.51, 36, 1 1 0
1.938, 46.87, 37, 1 0 5
1.881, 48.39, 51, 1 1 4
1.740, 52.59, 24, 2 0 0
1.543, 59.96, 22, 2 1 1
1.494, 62.11, 13, 2 0 4
1.445, 64.48, 15, 2 1 3

* * * * *

The following is a computed PXRD pattern of CoB4O7. It was derived from a cell relaxed with GGA+U, using Cu Kα (λ = 1.5418 Å).

Structural model:
```
data_CoB4O7
_chemical_formula_sum 'Co4 B16 O28'
_space_group_name_H-M_alt 'C m c m'
_space_group_IT_number 63
_space_group_name_Hall '-C 2c 2'
_cell_length_a 10.941
_cell_length_b 6.530
_cell_length_c 5.216
_cell_angle_alpha 90.00
_cell_angle_beta 90.00
_cell_angle_gamma 90.00
loop_
_atom_site_label
_atom_site_fract_x
_atom_site_fract_y
_atom_site_fract_z
Co1 0.000 0.242 0.250
B1 0.117 0.192 0.750
B2 0.203 0.500 0.000
O1 0.000 0.079 0.750
O2 0.128 0.317 0.523
O3 0.220 0.025 0.750
```

Top 10 peaks for 5° ≤ 2θ ≤ 70°, in order of rising 2θ:
2θ = 23.29°, I = 513, (1 1 1)
2θ = 27.32°, I = 290, (0 2 0)
2θ = 31.92°, I = 954, (2 2 0)
2θ = 32.96°, I = 1000, (3 1 1)
2θ = 38.06°, I = 314, (1 1 2)
2θ = 45.94°, I = 378, (1 3 1)
2θ = 47.14°, I = 301, (5 1 1)
- - -

… The rich no longer create jobs, through a process of consolidation, takeover and merger, they actually destroy them. […]

“When so much of the purchasing power, so much of the economic gain, goes to the very top,” Bill Clinton’s former labour secretary Robert Reich explains … “There’s simply not enough purchasing power in the rest of the economy.”

-- Attached: records of crystals --
-- begin --
# La4Pr2NdEr
Calculated X-ray powder pattern, Cu Kα (weighted mean of Kα1 and Kα2). Input: the GGA-PBE geometry in Alexandria.

Structural model:
Cell lengths 5.2358, 5.2657, 10.3568 Å; angles 90.00, 90.00, 90.00 degrees
Space group Pmmm (No. 47)
One atom of each set of equivalent atoms:
La  0.0000  0.0000  0.2474
La  0.5000  0.5000  0.2480
Pr  0.0000  0.5000  0.0000
Pr  0.5000  0.0000  0.5000
Nd  0.0000  0.5000  0.5000
Er  0.5000  0.0000  0.0000

Principal peaks in the range 5° ≤ 2θ ≤ 70°, by intensity:
h k l, two_theta, Rel. int.
1 1 2, 29.61, 100
0 2 0, 34.05, 17
2 0 0, 34.25, 17
0 0 4, 34.64, 16
1 3 2, 58.23, 15
3 1 2, 58.49, 15
1 1 6, 59.01, 14
2 2 4, 61.46, 12
2 2 0, 49.07, 12
0 2 4, 49.37, 12
-- stop --

In short, greed is not good. Greed, in fact, is evil. It destroys the lives and livelihoods of billions of individuals and small businesses for the benefit of a few. Yet, aside from Bernie Sanders and Elizabeth Warren (and a few others), who among our political class, beholden to billionaires in order to get elected, is willing to speak the truth, i.e., that the neo-liberal emperors who continue to push these failed policies, metaphorically have no clothes? Not many, my friends, not many.